Tiger Tiger

It had probably been weeks that I had spent stranded in this forest, though there was no way for me to know. I kept count of the first few days by hacking notches into a tree but I’d soon realized that I needed to keep moving and set a goal for myself. My comrades had … Read more

Timewalker pt 3b (long)

Twelve years later, Walter Madigan passed away in his sleep. His wife, Alicia, and her seventeen-year-old son, Zack, who knew his real father was Jake Pestova, returned for a time to Alicia’s hometown of Gallatin Heights in Montana. Once a small community fifty miles away from Bozeman, and almost the same distance from Helena, it … Read more

Filthy femdoms: forced oral-part 6

After my complete humiliation in the video room I seemed no longer bound by any normal conventions of sexual behavior. Nothing was too filthy for the wardresses to inflict upon me…and very quickly I was becoming the consumate animal slave…bound by force, and by my own uncontrollable cravings, to do their bidding each day… regardless … Read more

Timewalker pt 1a

The Adventures of Béla, the Vampire Girl Book 4: Time Walker Part 1a Chapter 1 ~~~~~~~~~~~~~~~~~~~~~~~~~~~~~~ “I don’t care!” Tanya cried out. Frank held her tightly while she beat on his chest with her fists. “That’s my daughter in there!” She broke down again, weeping hysterically. She allowed Frank to hold her tightly while she … Read more

Jennie The Giantess

Jennie enjoyed the conversion so far. It was a wonderful experience, from the tables set up in artist alley which was just a menagerie of tremendously talented artists (though some not so talented), to the panels revolving around just about anything anime and oddly, many things not related to anime. The choices were absolutely endless … Read more

Training Desmond_(0)

- - -
(1)
CuP10 GGA-PBE optimized geometry; crystal system = triclinic; final energy = -5.3373 eV/atom; formation energy from the elements = -43 meV per atom
1.0
-4.922 -5.310 0.313
0.385 -2.664 -11.283
7.552 -8.962 -2.278
P Cu
40 4
direct
0.236 0.610 0.295
0.506 0.112 0.706
0.058 0.318 0.418
0.189 0.355 0.232
0.492 0.159 0.032
0.224 0.436 0.477
0.526 0.095 0.231
0.811 0.645 0.768
0.494 0.888 0.294
0.519 0.854 0.488
0.505 0.350 0.443
0.058 0.547 0.191
0.825 0.874 0.493
0.474 0.905 0.769
0.504 0.626 0.749
0.496 0.374 0.251
0.486 0.427 0.791
0.514 0.573 0.209
0.749 0.798 0.244
0.764 0.390 0.705
0.942 0.682 0.582
0.070 0.100 0.699
0.524 0.362 0.986
0.064 0.830 0.963
0.495 0.650 0.557
0.175 0.126 0.507
0.830 0.369 0.000
0.481 0.146 0.512
0.835 0.105 0.236
0.508 0.841 0.968
0.170 0.631 0.000
0.776 0.564 0.523
0.165 0.895 0.764
0.251 0.202 0.756
0.250 0.905 0.045
0.936 0.170 0.037
0.750 0.095 0.955
0.476 0.638 0.014
0.930 0.900 0.301
0.942 0.453 0.809
0.224 0.825 0.255
0.770 0.881 0.034
0.776 0.175 0.745
0.230 0.119 0.966

---

(2)
Cu3P GGA-PBE optimized geometry; crystal system = trigonal; final energy = -4.4471 eV/atom; formation energy from the elements = -19 meV per atom
1.0
3.484 -6.034 0.000
3.484 6.034 0.000
0.000 0.000 7.179
P Cu
6 18
direct
0.663 0.663 0.750
0.337 0.337 0.250
0.000 0.337 0.750
0.337 0.000 0.750
0.663 0.000 0.250
0.000 0.663 0.250
0.691 0.066 0.576
0.066 0.691 0.924
0.066 0.375 0.424
0.667 0.333 0.825
0.309 0.934 0.424
0.934 0.625 0.576
0.000 0.000 0.750
0.934 0.309 0.076
0.000 0.000 0.250
0.667 0.333 0.325
0.375 0.309 0.576
0.309 0.375 0.924
0.333 0.667 0.175
0.691 0.625 0.076
0.625 0.691 0.424
0.625 0.934 0.924
0.333 0.667 0.675
0.375 0.066 0.076

---

(3)
Cu3P GGA-PBE optimized geometry; crystal system = trigonal; final energy = -4.4098 eV/atom; formation energy from the elements = 18 meV per atom
1.0
2.027 -3.512 0.000
2.027 3.512 0.000
0.000 0.000 7.151
Cu P
6 2
direct
0.667 0.333 0.413
0.333 0.667 0.938
0.000 0.000 0.780
0.000 0.000 0.220
0.667 0.333 0.062
0.333 0.667 0.587
0.667 0.333 0.738
0.333 0.667 0.262

---

(4)
Cu7PS6 GGA-PBE optimized geometry; crystal system = cubic; final energy = -4.3807 eV/atom; formation energy from the elements = -387 meV per atom
1.0
9.637 0.000 0.000
0.000 9.637 0.000
0.000 0.000 9.637
S P Cu
24 4 28
direct
0.370 0.871 0.117
0.629 0.883 0.870
0.513 0.487 0.987
0.630 0.371 0.383
0.728 0.772 0.228
0.013 0.013 0.013
0.383 0.630 0.371
0.870 0.629 0.883
0.872 0.372 0.128
0.871 0.117 0.370
0.987 0.513 0.487
0.117 0.370 0.871
0.129 0.617 0.130
0.883 0.870 0.629
0.617 0.130 0.129
0.128 0.872 0.372
0.372 0.128 0.872
0.487 0.987 0.513
0.228 0.728 0.772
0.272 0.272 0.272
0.772 0.228 0.728
0.628 0.628 0.628
0.371 0.383 0.630
0.130 0.129 0.617
0.753 0.753 0.753
0.253 0.747 0.247
0.247 0.253 0.747
0.747 0.247 0.253
0.513 0.723 0.005
0.005 0.513 0.723
0.235 0.926 0.906
0.644 0.356 0.856
0.906 0.235 0.926
0.265 0.074 0.406
0.856 0.644 0.356
0.144 0.144 0.144
0.987 0.277 0.505
0.594 0.765 0.426
- - -

Training Desmond Desmond woke. His head ached. More than ached. It was as if the Halle Orchestra was tuning up inside it and using his head for a kettle drum. Desmond woke and gradually became aware of his situation. His legs were cold. He was lying on something very hard. He was outside. The grey … Read more

Jordans sex Sequal prt 5&6

~The Next Day As I was putting on some clothes jake asked me where I was going. I told him hunting… He said okay and jumped in the bed and turned the T.V on to his favorite show. CSI. I hoped out the window and landed swiftly on the ground. I jogged into the forest … Read more

application for secretary

I worked in an office as a secretary, and my friend Margaret worked there too. It was our job to interview new candidates for positions opening every few weeks. This week, we were to interview for another secretary position in our building. Margaret and I met in my office one afternoon to look over the … Read more

The Perfect Wife Manual

I was wondering around the used bookstore, more or less trying to delay going home. In the year and a half we had been married Shannon had changed from a cute, perky, slender, vivacious, sexy, fun girl into a rather distant, chubby, out of shape, unpleasant nag who avoided sex like the plague. It had … Read more

freak rape

I don’t know what first attracted me to her, maybe it was the fact that as I run to work each day I see her cycling by, maybe it was seeing her curvacious body and those luscious boobs straining her tight fitting bike pants and top to near bursting that first started me thinking about … Read more

The Treatments

The Treatments Part one. Falling Into Place. The day started like any other, until it took a hard left turn. Alice was out with her favorite horse Chip taking a quick ride around the property before school as she worked to break in a new saddle. The sunrise was gorgeous, the air crisp- Alice’s favorite … Read more

The Aquatic Boy_(1)

I hope you like this story guys, I’m not a native English speaker, so I might have committed some grammar mistakes and this is my first story, tell me in the comments what you think David awoke horrified as he saw cables around his body “What the hell?” “Where am I?” he said to himself … Read more

Hard Stabling

The barn was beautiful in the late afternoon sun. Light poured down through the small cracks in the ceiling and the back wall, illuminating the dancing dust motes that flittered through the air. There was a soft, steady breeze blowing outside, which kept the tall grass surrounding the building perpetually ruffled. It also took the … Read more